Developing #Listening & Speaking Skills – Games to Encourage Talking and Language Knowledge

Last week we explained the importance of developing your child’s word awareness skills here are some further games ideas to encourage them to use this new language.

  • Playing tapes or CDs of nursery rhymes and children’s song are good for helping your child to make the distinction between the music and words (language used) in them. It is a good idea to practise this skill when there are no other noise distractions.
  • When your child points at something tell them the name of the object, for example if they point at an apple, say “Apple”.
  • Try to use the new word in context regularly as repetition of the word will help your child to remember it and reinforce the meaning of the word.
  • Try playing some action songs and rhymes to help your child learn the actions for the rhyme, then let them have a go on their own. Watch them to see if they can do some of the actions at the right time in the song, to see if they are listening for the right cue words. If they are struggling, explain they have to wait for certain words and show them what to do and when to do it.
  • If they are trying to say a word, let them finish and then say it back to them clearly and correctly. Do not make them repeat it back to you, they may choose to do so but make it their choice.
  • Repeat and expand on what your child says, so if they say “Dog!” you may say “A big dog!” This also helps them to develop an understanding of sentence structure.
  • Finger rhymes, such as ‘Round and Round the Garden’, ‘Pat-a-cake’ and ‘Incy Wincey Spider’ and action songs encourage your child to interact with words, the sounds within them and the rhythms they create. ‘Row, Row Your Boat’ is a lovely whole body movement song that encourages a rhythmic whole-body motion, which babies and toddler enjoy (as well as the adults).
  • Sharing and talking about the books you are reading helps to build word knowledge, as you point to the pictures, picking out different objects.  Reading out aloud helps to introduce your child to words that they may not experience in their everyday talk. This helps to expose them to new vocabulary and the sounds to be found in those words.
  • Introducing and playing sorting games helps your child to build a mental filing cabinet system of categories, this helps them to remember and learn the meaning of words. Start by introducing simple categories of everyday items like food or clothes as their vocabulary increases categories such as colour, size and texture become more appropriate.

Developing #Listening & #Speaking Skills – Word Awareness

A good word awareness (receptive and expressive language) is a key phonics skill.

Receptive language is how we take in and understand language; it is what we hear, see and read. This also includes body language and environmental clues. All these elements help us to interpret a situation and give it its meaning, so that we can understand what is being communicated. We do not need to be able to produce language to receive and understand it, so infants and toddlers understand far more than they can express (expressive language).

Expressive language is our ability to put our thoughts, needs and wants into words and sentences in a way that makes sense and is grammatically correct. A baby’s expressive language to begin with is based on cries and gestures and then moves to sound making, gestures and body language signals. We use this expressive language when we speak and write. When babies and toddlers move to speaking words, they have a limited vocabulary which is why they can get frustrated when we do not understand them.

Helping a child build their vocabulary (word awareness – receptive & expressive language) is vital if they are to continue to develop good communication skills. Talking, explaining, sharing and playing are all important as well as making sure that you pronounce words clearly and correctly for a child to hear. A child may not have developed all the skills needed to copy you accurately but they will store the sound pattern information for later use. The more they hear the correct sound patterns the sooner they will start to use them themselves.

Click the link for ‘Tips to Help Develop Word Awareness (Receptive & Expressive Language)’:

Developing #Listening & Speaking Skills – Games to Develop Phonemic Awareness

Phonemic awareness is our ability to split words into their smallest sound units (individual phonemes) and to manipulate these sounds through segmentation, blending, substitution and deletion. This is based on what we hear and say, not the written word.

These games are great for playing in the car or when waiting in queues and hopefully soon when out and about with other friends and family.

We usually introduce this concept to children using one syllable CVC words, a word that has a Consonant followed by a Vowel and then another Consonant, such as cat, dog, sit, peg and sun.

Play, ‘I hear with my little ear…’

This is based on the game I spy with my little eye. In this version you say;

 “I hear with my little ear the words (for example) cat, cake, key and kite. What sound do these words begin with?” The answer is they begin with the sound ‘k’ remember it is about what they hear not the spelling or letter names.

  • To begin with focus on helping your child to identify the first sound in words, remember it is about what you hear not the spelling, so shop, ship, and chef all start with the same first sound ‘sh’; fish, photo, fog would also have the same initial ‘f’ sound. Try not to correct your child based on spelling conventions, as it is sounds you are working on – spelling comes later.
  • Next help your child to listen and identify the last sound in a word such as ‘t’ in cat, sit and hat.
  • Then focus on the medial, or middle, sound in the word such as ‘a’ in mat, lap and tap.

Once your child can identify the initial, medial and final sounds in a word the next step is to playing with the words through oral phoneme segmentation and oral phoneme blending. You are probably doing this already with your child without really realising it.

  • Segmentation – being able to split words into their individual sounds, for example ‘cat’ into c-a-t.

Play, ‘How many sounds (phonemes) can you hear?’

This is a simple oral segmentation game just ask; “How many sounds (phonemes) can you hear in the word ‘hat’? The answer is 3. If your child can not count, they can show you using their fingers. The important thing is for them to hear and pick out the individual sounds in the word not the number of letters used to spell the word.

  • Blending – being able to blend individual sounds together to say a word, for example d-o-g into dog. This is achieved by saying the sounds over and over again getting quicker until it sounds and can be identified as the word (a tricky skills to learn).

Play, ‘I’m thinking of a word and it has the sounds (phonemes)… What is the word?’

This oral blending game seems easy but can be very trick skill for some children to master, so do not be surprised if they find it hard to begin with. Use CVC words to begin with, but do keep trying as it is a very important skill to learn; be patient and over time they will get there.

Attached: materials data
-- begin --
The following is a simulated XRD peak list of Sm2DyCo2B2P3. It was derived from a crystal structure in OQMD, relaxed with PBE, using CuKα.
Neutral-atom scattering factors, no anomalous dispersion.

Structure:
a b c (Å): 3.914 3.914 21.860
angles (deg): 90.00 90.00 90.00
Space group I4/mmm (No. 139)
One atom of each set of equivalent atoms:
1 Sm 0.000 0.000 0.138 [4 per cell]
2 Dy 0.000 0.000 0.500 [2 per cell]
3 Co 0.000 0.500 0.250 [4 per cell]
4 B 0.000 0.000 0.285 [4 per cell]
5 P 0.000 0.000 0.000 [2 per cell]
6 P 0.000 0.000 0.375 [4 per cell]

Largest 10 diffraction maxima, by angle, 2θ from 10° to 90°:
| 2θ/deg | I (rel.) | hkl |
| --- | --- | --- |
| 25.84 | 100 | 1 0 3 |
| 30.66 | 27 | 1 0 5 |
| 32.34 | 52 | 1 1 0 |
| 32.77 | 48 | 0 0 8 |
| 33.39 | 31 | 1 1 2 |
| 36.38 | 28 | 1 1 4 |
| 40.95 | 56 | 1 1 6 |
| 46.39 | 45 | 2 0 0 |
| 53.86 | 28 | 2 1 3 |
| 57.96 | 36 | 2 0 8 |

The following is a simulated XRD peak list of Pr2Dy3Co2B6. It was derived from a crystal structure in OQMD, relaxed with PBE, using CuKα.
Neutral-atom scattering factors, no anomalous dispersion.

Structure:
a b c (Å): 5.4235 5.4235 23.9877
angles (deg): 90.00 90.00 120.00
Space group R-3m (No. 166, hexagonal axes)
One atom of each set of equivalent atoms:
1 Pr 0.0000 0.0000 0.0872 [6 per cell]
2 Dy 0.0000 0.0000 0.2518 [6 per cell]
3 Dy 0.0000 0.0000 0.5000 [3 per cell]
4 Co 0.0000 0.0000 0.3793 [6 per cell]
5 B 0.0000 0.3327 0.0000 [18 per cell]

Largest 10 diffraction maxima, by angle, 2θ from 10° to 90°:
| 2θ/deg | I (rel.) | hkl |
| --- | --- | --- |
| 22.24 | 20 | 0 0 6 |
| 26.56 | 27 | 0 1 5 |
| 32.34 | 25 | 1 0 7 |
| 33.03 | 100 | 1 1 0 |
| 35.52 | 29 | 0 1 8 |
| 40.18 | 37 | 1 1 6 |
| 57.25 | 22 | 1 1 12 |
| 59.00 | 22 | 3 0 0 |
| 60.62 | 12 | 1 2 8 |
| 69.30 | 12 | 2 2 0 |

The following is a simulated XRD peak list of Pr2Dy3Co2B6. It was derived from a crystal structure in OQMD, relaxed with PBE, using CuKα.
Neutral-atom scattering factors, no anomalous dispersion.

Structure:
a b c (Å): 5.4404 5.4404 23.9279
angles (deg): 90.00 90.00 120.00
Space group R-3m (No. 166, hexagonal axes)
One atom of each set of equivalent atoms:
1 Pr 0.0000 0.0000 0.2448 [6 per cell]
2 Dy 0.0000 0.0000 0.0807 [6 per cell]
3 Dy 0.0000 0.0000 0.5000 [3 per cell]
4 Co 0.0000 0.0000 0.3786 [6 per cell]
5 B 0.0000 0.3319 0.0000 [18 per cell]

Largest 10 diffraction maxima, by angle, 2θ from 10° to 90°:
| 2θ/deg | I (rel.) | hkl |
| --- | --- | --- |
| 22.29 | 19 | 0 0 6 |
| 26.55 | 18 | 0 1 5 |
| 32.36 | 49 | 1 0 7 |
| 32.93 | 100 | 1 1 0 |
| 35.55 | 14 | 0 1 8 |
| 40.13 | 35 | 1 1 6 |
| 46.84 | 17 | 0 2 7 |
| 57.29 | 20 | 1 1 12 |
| 58.44 | 18 | 2 1 7 |
| 58.80 | 22 | 3 0 0 |

The following is a simulated XRD peak list of Er5Co2B6. It was derived from a crystal structure in OQMD, relaxed with PBE, using CuKα.
Neutral-atom scattering factors, no anomalous dispersion.

Structure:
a b c (Å): 5.3765 5.3765 22.8639
angles (deg): 90.00 90.00 120.00
-- stop --

Say “I’m thinking of a word and it has the sounds (phonemes) l-o-g what is the word?” The answer is log.

Important Tips

We often slow down our pronunciation of the word and over exaggerate them, thinking we are helping our children to hear these sounds. This can be useful to start with, but be careful not to do it all the time. The aim is for your child to pick out the sounds in normal speech patterns, as these can be different from the way that words are spelt.

The most important thing to remember when modelling this, and when playing games to help develop these skills, is to make sure you are making the sounds correctly. It can be very easy to pollute a sound by adding an extra ‘uh’ sound to it, so ‘k’ becomes ‘kuh’ which makes it very difficult for children then to blend sounds.

When your child feels comfortable using and playing with sounds in CVC words move on to CCVC words such as stop, clop and flop, following the same steps of identifying the initial and last sound in the word and then the vowel sound rather than the middle sound. Then play oral phoneme segmentation and blending games.

Developing #Listening Skills – Music Fun

These games are designed to help a child learn about the different levels of sound, pitch, tone and volume.

Music Fun

  • Skittle Band – Use, or make, a drum stick (wooden spoons are good for this) and explore with your child the different sounds the drum stick makes against objects made of different materials, such as steel saucepan, another wooden spoon, plastic bottles etc. Choose items that are safe and you are happy for them to play with. You could photograph the objects, record the sounds they make, or video (on your phone), to play back and talk about later on. Try moving the activity outside for a different sound quality experience.
  • Orchestral Conductor – Once your child is happy and enjoys playing and making sounds, with different objects and instruments, try the conductor game. You can use your hands or a baton to point and encourage them to play certain sounds just like an orchestral conductor does, but make sure you have a clear stop gesture which your child will understand (you may need to say stop at the same time as the gesture to begin with, but they will soon get the idea). Then swap places and you become the musician and they the conductor; it may not be a classic you create but it is great fun. As your child develops their skills you can add new elements and hand gestures to make the sound louder or softer.
  • Musical Bottles – Use plastic bottles with different amounts of water/sand in them and different things as a beater. Talk about how:
    • Low/deep or high pitched a sound is compared with another.
    • Using different beaters can change the quality of the sound when used on the same bottle.
    • Using different amounts of pressure to hit the bottle makes the sound louder (harsher) or quieter (softer).

Try organizing the bottles in order of pitch to create a musical instrument and using this as part of the Orchestral Conductor game. You could number each bottle or use a different picture on the bottle as a way of encouraging your child to play the bottles in different orders (making music).

Developing #Listening Skills – Sound Scanning Games

These games are designed to help a child learn how to block out ambient noises so that they focus and concentrate on one particular sound.


The idea is to identify and talk about different sounds in different locations; in the park or at home in different rooms. Ask the child to listen for a moment (timed activity 30 seconds to start with then increase) and to pick out different sounds they can hear. Some will be close and easier to identify; other sounds may be further away and require more focused concentration to work out what they may be.

  • Sound Scanning Questions to help:
  • What can you hear that is far away?
  • What can you hear that is close by?
  • What can you hear that is loud?
  • What can you hear that is quiet?
  • What can you hear that makes a high-pitched sound?
  • What can you hear that makes a low-pitched sound?
  • What can you hear that sounds big?
  • What can you hear that sounds small?
  • Listening Walk Activities- You could record some of the sounds heard and talked about on the walk. Try changing the ‘What can you …?’ questions to ‘What did you…?’ Depending on your child’s age they may be able to draw a sound scape picture showing all the things they heard on the walk.
  • Where is the Sound? – The aim of the game is finding out where the sound is coming from. Start by using something that makes a good clear sound.  Ask your child to cover their eyes (can use a blindfold) and have them sit or stand in the middle of the room. Move around the room, starting not too far away from them and make the sound. Pause between each sound to give your child time to settle and focus on it before you make the next sound. Try to keep an even, slow pace. The aim is for your child to point in the direction they believe the sound is coming from. Gradually move further away, maintaining the same sound level. Swap places with your child, so you have to guess where the sound is coming from.

To make it more challenging:

  • Change the volume of the noise.
  • Change the object that is making the noise.
  • Change the speed (rhythm), as well as the location, at which the sounds are made.

Have Fun!